• Listing:
/*
Below is a relaxed structure of CoCu4NiB2, with properties calculated at the PBE level.

Cell: 3.8526 3.8526 5.4519 Å, 90.00 90.00 90.00°
Closest atoms and distances in Å follow each position.
Positions (direct):
Co  0.0000  0.0000  0.0000  8 Cu 2.36
Cu  0.0000  0.5000  0.2511  2 Ni 2.36, 4 B 2.36, 2 Co 2.36
Cu  0.0000  0.5000  0.7489  2 Ni 2.36, 4 B 2.36, 2 Co 2.36
Cu  0.5000  0.0000  0.2511  2 Ni 2.36, 4 B 2.36, 2 Co 2.36
Cu  0.5000  0.0000  0.7489  2 Ni 2.36, 4 B 2.36, 2 Co 2.36
Ni  0.5000  0.5000  0.5000  8 Cu 2.36
B  0.0000  0.0000  0.5000  8 Cu 2.36
B  0.5000  0.5000  0.0000  8 Cu 2.36

- Calculated density: 8.1 g/cm3
- Final energy: -4.6318 eV/atom
- Total magnetic moment: 0.99 Bohr magnetons per cell
- Symmetry: P4/mmm (123)
*/

• Request:
It remains to retype everything above verbatim.

• Outcome:
Below is a relaxed structure of CoCu4NiB2, with properties calculated at the PBE level.

Cell: 3.8526 3.8526 5.4519 Å, 90.00 90.00 90.00°
Closest atoms and distances in Å follow each position.
Positions (direct):
Co  0.0000  0.0000  0.0000  8 Cu 2.36
Cu  0.0000  0.5000  0.2511  2 Ni 2.36, 4 B 2.36, 2 Co 2.36
Cu  0.0000  0.5000  0.7489  2 Ni 2.36, 4 B 2.36, 2 Co 2.36
Cu  0.5000  0.0000  0.2511  2 Ni 2.36, 4 B 2.36, 2 Co 2.36
Cu  0.5000  0.0000  0.7489  2 Ni 2.36, 4 B 2.36, 2 Co 2.36
Ni  0.5000  0.5000  0.5000  8 Cu 2.36
B  0.0000  0.0000  0.5000  8 Cu 2.36
B  0.5000  0.5000  0.0000  8 Cu 2.36

- Calculated density: 8.1 g/cm3
- Final energy: -4.6318 eV/atom
- Total magnetic moment: 0.99 Bohr magnetons per cell
- Symmetry: P4/mmm (123)